Leasing Fassade
Demonstrator Project
[Next to the piece, the page also holds data records]
- - -
This entry pairs a crystal structure of HoMgAl2Ag5 with its computed powder X-ray diffraction pattern. Radiation: Cu Kα (weighted mean of Kα1 and Kα2). Structure: DFT lattice parameters and positions (GGA-PBE).

Largest 12 diffraction maxima, in order of rising 2θ, 2θ = 15–90°:
| d_spacing | 2θ (°) | intensity | index |
| --- | --- | --- | --- |
| 3.118 | 28.6 | 8 | 1 1 1 |
| 2.584 | 34.7 | 100 | 1 1 2 |
| 2.394 | 37.6 | 51 | 2 0 0 |
| 2.294 | 39.3 | 11 | 2 0 1 |
| 2.095 | 43.2 | 24 | 1 1 3 |
| 2.000 | 45.4 | 10 | 0 0 4 |
| 1.693 | 54.2 | 17 | 2 2 0 |
| 1.535 | 60.3 | 16 | 2 0 4 |
| 1.416 | 66.0 | 29 | 3 1 2 |
| 1.317 | 71.7 | 10 | 3 1 3 |
| 1.292 | 73.3 | 9 | 2 2 4 |
| 1.240 | 76.8 | 8 | 1 1 6 |

Structural model:
a = 4.789 Å, b = 4.789 Å, c = 7.999 Å
α = 90.00°, β = 90.00°, γ = 90.00°
Space group P4/mmm (No. 123)
Asymmetric unit:
Ho (0.000, 0.000, 0.000) (multiplicity 1)
Mg (0.000, 0.000, 0.500) (multiplicity 1)
Al (0.500, 0.500, 0.344) (multiplicity 2)
Ag (0.000, 0.500, 0.228) (multiplicity 4)
Ag (0.500, 0.500, 0.000) (multiplicity 1)
- - -
The Façade Leasing project explores an innovative business model for circular, performance-based contracting of energy-efficient building envelopes. Façade Leasing is a systemic, multi-disciplinary approach to address the slow rate of deep building energy renovations across Europe. An academic and industry partnership is both studying and demonstrating the technology, business, finances, building regulation, and (supply-chain) management perspectives, all of which need to be accurately aligned for this model of Circular Economy transition to succeed.
Specific problem
The construction boom that took place across Europe in the decades of the 1950’s to the 1970’s presents the current European construction sector with a unique and daunting challenge: On the one hand, buildings from this period - which can account for over 50% of the building stock in certain real estate sectors and regions such as Dutch university buildings - combine a still functional structural integrity with a rapidly declining energetic performance, often negatively affecting the performance of the building’s users/owners. This means buildings which can still be technically used for decades to come are often operating well below the desired energy performance standards. A large portion of these buildings must undergo a deep energy renovation (i.e. one reaching energy savings of 60% to 90%) within the coming ten to twenty years if we are to meet climate adaptation goals set for the years 2020 and 2050. On the other hand, investment on building energy renovation projects is still far below the required volume, with less than 1% of the building stock being renovated every year (well below the 3% target). Furthermore, many of these retrofitting projects focus on minimizing initial investment costs - rather than optimizing energy consumption - resulting in superficial improvements and in a short-sighted allocation of financial and material resources.
General solution
The Façade Leasing project brings together a multi-disciplinary team of experts from academy and industry in order to provide a systemic solution to the problem presented above. The project recognizes this challenge as one that cannot be solved through technology alone, as technology to renovate buildings to near-Zero energy standards has been available for years. Instead, Façade Leasing proposes the redistribution of incentives among construction industry stakeholders as a way to facilitate accelerated and strategic investment in deep energy renovation projects. This while creating new sources of shared value and long-term collaboration for all parties involved in the building’s life-cycle operation.
With new constructions accounting for only 18% of the Dutch façade industry’s yearly output – and with similar trends found throughout the EU – it is natural for our innovation to focus on the renovation market in terms of both market volume and potential CO2 mitigation. However, Façade Leasing also addresses the problem of underinvestment on high-performance envelopes for new buildings. Facades represent, on average, between 20% and 30% of a new building’s construction cost. This percentage becomes even higher when we consider emerging façade-integrated technologies such as decentralised ventilation and in-glass photovoltaic panels, which effectively replace more traditional, centralised building services.
# Crystal structures, kept here for reference
# 1
# V3SbP4O16
Simulated XRD peak list, CuKα. Input: a cell relaxed with PBE+U.
Kinematic intensities with the Lorentz-polarization factor, no thermal factor.

The 10 most intense peaks (10° ≤ 2θ ≤ 80°), sorted by position:
2θ 17.2, 5.158 Å, intensity 85, hkl 0 0 2
2θ 19.6, 4.523 Å, intensity 87, hkl 1 0 1
2θ 22.7, 3.923 Å, intensity 24, hkl 0 1 2
2θ 24.6, 3.621 Å, intensity 100, hkl 1 1 1
2θ 29.6, 3.020 Å, intensity 70, hkl 0 2 0
2θ 34.9, 2.570 Å, intensity 99, hkl 1 1 -3
2θ 35.7, 2.512 Å, intensity 36, hkl 1 2 1
2θ 47.0, 1.933 Å, intensity 23, hkl 2 2 0
2θ 50.4, 1.810 Å, intensity 27, hkl 2 2 -2
2θ 56.0, 1.642 Å, intensity 24, hkl 1 3 -3

a b c (Å): 5.0328 6.0406 10.3170
angles (deg): 90.00 90.09 90.00
Sites, in units of the cell vectors:
1 V 0.0000 0.0000 0.0000
2 V 0.0606 0.5000 0.4491
3 V 0.5047 0.5000 0.9624
4 Sb 0.5543 0.0000 0.5047
5 P 0.0981 0.0000 0.3148
6 P 0.4333 0.0000 0.8408
7 P 0.6385 0.5000 0.6310
8 P 0.9427 0.5000 0.1280
9 O 0.1666 0.0000 0.1714
10 O 0.2343 0.2024 0.3860
11 O 0.2343 0.7976 0.3860
12 O 0.2411 0.5000 0.1025
13 O 0.2943 0.2005 0.9137
14 O 0.2943 0.7995 0.9137
15 O 0.3533 0.5000 0.5801
16 O 0.3578 0.0000 0.6987
17 O 0.6482 0.5000 0.7781
18 O 0.7335 0.0000 0.8616
19 O 0.7951 0.3020 0.0564
20 O 0.7951 0.6980 0.0564
21 O 0.7967 0.0000 0.3339
22 O 0.8045 0.3041 0.5665
23 O 0.8045 0.6959 0.5665
24 O 0.8885 0.5000 0.2741

=====

# 2
# LiCr3O8
Simulated XRD peak list, CuKα. Input: a cell relaxed with PBE+U.
Kinematic intensities with the Lorentz-polarization factor, no thermal factor.

The 10 most intense peaks (10° ≤ 2θ ≤ 80°), sorted by position:
2θ 17.3, 5.118 Å, intensity 44, hkl 1 1 0
2θ 23.7, 3.758 Å, intensity 100, hkl 1 1 1
2θ 25.3, 3.520 Å, intensity 62, hkl 1 2 0
2θ 30.1, 2.970 Å, intensity 14, hkl 1 2 1
2θ 32.3, 2.767 Å, intensity 28, hkl 0 0 2
2θ 33.9, 2.646 Å, intensity 54, hkl 2 1 1
2θ 36.0, 2.498 Å, intensity 31, hkl 0 3 1
2θ 52.0, 1.760 Å, intensity 11, hkl 2 4 0
2θ 58.7, 1.574 Å, intensity 14, hkl 2 1 3
2θ 62.5, 1.485 Å, intensity 25, hkl 2 4 2

a b c (Å): 6.4558 8.3980 5.5349
angles (deg): 90.00 90.00 90.00
Sites, in units of the cell vectors:
1 Li 0.0000 0.0000 0.0000
2 Li 0.5000 0.5000 0.5000
3 Cr 0.0000 0.5000 0.5000
4 Cr 0.2310 0.3514 0.0000
5 Cr 0.2690 0.8514 0.5000
6 Cr 0.5000 0.0000 0.0000
7 Cr 0.7310 0.1486 0.5000
8 Cr 0.7690 0.6486 0.0000
9 O 0.0294 0.2402 0.0000
10 O 0.0586 0.7355 0.5000
11 O 0.2264 0.4674 0.2528
12 O 0.2264 0.4674 0.7472
13 O 0.2736 0.9674 0.2472
14 O 0.2736 0.9674 0.7528
15 O 0.4414 0.2355 0.0000
16 O 0.4706 0.7402 0.5000
17 O 0.5294 0.2598 0.5000
18 O 0.5586 0.7645 0.0000
19 O 0.7264 0.0326 0.2472
20 O 0.7264 0.0326 0.7528
21 O 0.7736 0.5326 0.2528
22 O 0.7736 0.5326 0.7472
23 O 0.9414 0.2645 0.5000
24 O 0.9706 0.7598 0.0000

----------

For Ba3Sb3Pb, a GGA-PBE-relaxed structure gives the calculated PXRD pattern in this record (CuKα).

Structure:
Cell lengths 11.5877, 11.5877, 14.5324 Å; angles 90.00, 90.00, 37.98 degrees
Positions (direct):
Ba (0.0159, 0.6340, 0.1296)
Similar to the case of renovations, the high relative cost of a new building façade, under a culture of lowest initial investment, often leads to poor technical performance, which consequently has negative impact on operating costs, users’ productivity and/or satisfaction, eventually negatively affecting the overall performance of the organisation. The financial and organisational incentives proposed by this innovation would also positively support better decision-making for energy-efficient façade technologies by reducing the initial investment burden of traditional contracting models.